We’ve reached week 13 of the legislative session and we are quickly approaching the April 26th end date. There is, however, a lot of work still to be done. The House and the Senate both recently released their budget proposals for the 2015-2017 biennium and we voted the House budget off the floor last week. The House budget meets the State’s funding obligation for public education from the McCleary decision, which was one of the main topics of conversation at the recent Town Hall I hosted with Rep. Sells and Senator McCoy.
Proposed House Budget
After years of budget cuts and tough economic times, I am very pleased to have voted for the budget proposed by the House Democrats last week which aligns with our shared values and makes real investments in the future of our economy and the well-being of our children, families, and communities.
With this budget, we are supporting an economy that works for everyone, not just the wealthy few.
The first thing on everyone’s mind this year has been funding education. One of the best tools we have to give all Washingtonians the opportunity to succeed is by providing quality education that takes young people from their cradles all the way to the launch of their careers.
Our budget increases funding for K-12 education by 21%. With this investment, every child in the state can access full-day kindergarten. We are funding class size reductions for students in grades K-3. We provide funding for tools students need in order to learn – things like textbooks, classroom supplies and school operating costs. We invest in college and career readiness programs so that students graduate from high school ready to take on their next step. Our hard-working school employees, from teachers to bus drivers get a long overdue cost-of-living increase.
We are meeting our constitutional obligation to fully fund our schools. But we know that in order to thrive, we need to go beyond just providing the minimum required by our constitution and our Supreme Court. We also need to make investments in early learning and higher education.
Addressing our unfair tax system vs. sticking with the status quo
Our state has the most unfair tax system in the nation. You read that right, the most regressive of all 50 states. That means that middle-class and working families pay four to seven times more of their income in taxes than the wealthiest five percent.
We’re asking the wealthiest Washingtonians to pay their fair share toward reinvesting in our future. As we fully fund education, repair our broken mental health care system and restore the Safety Net, we should assess the profits in the brokerage accounts of Washington’s wealthiest, not the checking accounts of Washington’s working families.
We are proposing a small 5 percent Fair Share Tax on capital gains when a person makes more than $25,000 in profit (or $50,000 for joint filers) from the sale of stocks, bonds and other lucrative investments. This proposal would almost exclusively impact the very-wealthy in our state. In fact, according to non-partisan analysis, families with a total income less than $250,000 a year would have only accounted for less than 3 percent of capital gains from 2007-2012. Instead, this fair share tax will impact only about 32,000 of Washington’s wealthiest individuals and families. The tax would completely exempt retirement accounts, most primary residences (up to $250,000 for single filers and $500,000 for joint filers), and most sales of agriculture lands and timber.
The money from the sale of these investments will be invested right back in our education system, funding public schools and making sure that higher education remains affordable. We will be able to invest $1.2 billion in fully funding education for Washington’s one million schoolchildren from the fair share tax on capital gains alone.
Meanwhile, the Senate chooses to stick with the status quo – leaving our middle-class and working families to bear the burden while protecting the wealthy few.

Projects in the 38th District
The proposed capital budget was recently released and it included many different projects in the 38th District. Highlights from the capital budget for our district are:
- Marysville Pilchuck High School Cafeteria – Following the tragic shooting at Marysville Pilchuck High School last October, the cafeteria has not been used. The capital budget contains funding to replace the current cafeteria with a new facility that will welcome staff and students and help with the ongoing emotional healing after last year’s tragedy.
- Everett Family YMCA—The YMCA of Snohomish County plans to construct a new facility in Everett to replace the current Everett Y facility. This project will ensure a multi-generational legacy of youth development, healthy living and social responsibility positively impacting thousands of youth, individuals and families.
- WSU Everett University Center—The University Center will be an attractive, multi-story building on Broadway in north Everett managed by Washington State University. The new center will address STEM-related fields and other high demand disciplines in Snohomish, Island, Skagit counties.
- Carnegie Building Rapid Recidivism Reduction Project – Snohomish County plans to renovate the historic Carnegie Building on the County Campus in downtown Everett. Improving the building will create a location for a program that provides needed services to low-level offenders to reduce recidivism.
/*
Computed, not measured: a cluster of 2 separate species, C9H13BrNO7S in total, with wB97M-V/def2-TZVPD.

Values from the calculation:
Gap between HOMO and LUMO = 2.113 eV
Net charge = -1
Max |F| = 3.3 eV Å⁻¹
Electronic energy = -106237.0737 eV
Energy relative to the best compared isomer or geometry (same formula, charge and spin) = 0.0 kJ/mol

```
32
C9H13BrNO7S (wB97M-V/def2-TZVPD)
O -0.95736 0.95454 3.64131
C -1.70792 0.98904 2.41701
C -0.94218 0.14553 1.28813
O -1.92358 -0.68919 0.67522
C -1.53970 -1.14794 -0.61802
O -0.12484 -1.24390 -0.82728
C 0.30156 -0.70275 -2.06342
C 0.97233 0.69627 -1.76204
C 0.13762 1.91418 -1.82256
C 0.76699 3.23696 -1.54130
C 2.24345 3.22779 -1.23041
C 2.97493 1.98934 -1.17325
N 2.32880 0.75800 -1.43407
Br 3.42392 -0.76047 -1.31624
H -0.05409 1.23491 3.39924
H -2.74496 0.57696 2.50367
H -1.82149 2.07422 2.09148
H -0.08291 -0.43516 1.74656
H -0.47597 0.90803 0.59966
H -1.94699 -2.20356 -0.70727
H -2.09468 -0.52062 -1.37729
H -0.51013 -0.53690 -2.81962
H 1.04930 -1.39572 -2.55565
H -0.95572 1.86987 -2.05433
H 0.19894 4.19503 -1.55186
H 2.78732 4.18262 -1.04074
H 4.06893 1.98910 -0.94221
O 0.16835 -5.42142 1.32836
S -0.67429 -4.26484 1.69737
O 0.17631 -3.05015 1.83571
O -1.35710 -4.53695 2.97791
O -1.68485 -4.03282 0.63596
```

---

Computed, not measured: the molecule C20H22FN3O5S, with wB97M-V/def2-TZVPD.

Values from the calculation:
Gap between HOMO and LUMO = 8.965 eV
Net charge = 0
Max |F| = 1.1 eV Å⁻¹
Electronic energy = -49357.7250 eV
Energy relative to the best compared isomer or geometry (same formula, charge and spin) = 96.5 kJ/mol

```
52
C20H22FN3O5S (wB97M-V/def2-TZVPD)
C -2.78835 0.76144 -1.24835
O -1.57279 0.08523 -1.49110
C -1.39574 -1.14259 -0.94343
C -2.27564 -1.76363 -0.05880
C -1.99606 -3.01284 0.46416
C -0.82470 -3.68180 0.11841
N -0.48952 -4.94565 0.60501
C -1.19118 -5.74720 1.46449
C -0.48423 -7.06015 1.72395
O -2.25042 -5.44928 1.96324
C 0.05747 -3.06183 -0.76447
C -0.22572 -1.81875 -1.28346
S 0.94842 -1.13338 -2.46483
O 1.97369 -2.12513 -2.62059
O 0.26927 -0.66597 -3.63397
N 1.67917 0.17502 -1.74753
C 1.15176 1.50255 -1.95529
C 0.65437 2.12526 -0.65457
N 1.72724 2.15569 0.32204
C 1.73839 2.94734 1.41518
O 2.65195 2.95028 2.21851
C 0.56514 3.87080 1.58227
C 0.77632 5.24525 1.57520
C -0.26778 6.12421 1.80143
C -1.54017 5.64237 2.06107
C -1.77055 4.27826 2.09572
C -0.71739 3.41543 1.85774
F -0.96148 2.08348 1.89859
C 2.80735 1.20513 0.13262
C 2.25443 -0.08854 -0.44596
H -3.64666 0.17249 -1.58183
H -2.73213 1.67886 -1.83170
H -2.90116 1.00936 -0.18797
H -3.19202 -1.27775 0.23376
H -2.68973 -3.47789 1.14483
H 0.38439 -5.30778 0.24879
H -1.07658 -7.65323 2.41430
H -0.36198 -7.61068 0.79354
H 0.49730 -6.88040 2.15736
H 0.97559 -3.53367 -1.07922
H 0.33788 1.41197 -2.67528
H 1.93624 2.13223 -2.39280
H 0.30195 3.14333 -0.84554
H -0.18153 1.52837 -0.27824
H 1.77420 5.61284 1.39154
H -0.08640 7.18769 1.78395
H -2.35415 6.32632 2.24542
H -2.74814 3.87622 2.31086
H 3.56280 1.62015 -0.54371
*/
### Here the page continues
Contact Me!
Please don’t hesitate to contact me as session moves along. There are a wide variety of bills introduced every year and I appreciate hearing from constituents about what is important to them. My Legislative Aide, Jordan Smith, can be reached at jordan.smith@leg.wa.gov or 360-786-7864. You can also always email me at june.robinson@leg.wa.gov